Journey of the Fate Destroying Emperor

Chapter 537 Dao Child"s Provocation

Chapter 537 Dao Child"s Provocation

w.a.n.g Wei looked up and down at this person, and his mouth almost twitched. He sensed a unique aura from this Ye Tuzhi: it was the aura of an Outlaw.

He instantly this person cultivated an Outlaw Dao, but he had not pa.s.sed his trial yet.

_Misplaced materials data_
- - -
[1]
VASP calculation (GGA-PBEsol) on a geometry-optimized Si structure.

a = 5.4339 Å, b = 5.4339 Å, c = 5.4339 Å
α = 90.00°, β = 90.00°, γ = 90.00°
Space group Fd-3m (No. 227, origin choice 2)
Asymmetric unit:
Si1 0.1250 0.1250 0.1250 (multiplicity 8)

Spin magnetization ... 0.00 μB per formula unit
Energy relative to the lowest polymorph listed for this composition ... 0 meV per atom
Energy ... -5.7 eV/f.u.


[2]
VASP calculation (GGA-PBEsol) on a geometry-optimized Sm5Si3 structure.

a = 8.5644 Å, b = 8.5644 Å, c = 6.4451 Å
α = 90.00°, β = 90.00°, γ = 120.00°
Space group P6_3/mcm (No. 193)
Asymmetric unit:
Sm1 0.0000 0.2461 0.2500 (multiplicity 6)
Sm2 0.3333 0.6667 0.0000 (multiplicity 4)
Si1 0.0000 0.3935 0.7500 (multiplicity 6)

Spin magnetization ... 0.00 μB per formula unit
Energy ... -47.8 eV/f.u.


> Which formula does entry 2 have?
- - -
_The page goes on_

"So, am I his trial?" thought w.a.n.g Wei. He quickly divined the secrets of heaven. He was not necessarily Ye Tuizhi"s trial, but someone in this trial was. So, it could be him or any of the other Heaven Chosen.

However, Considering everyone"s displayed strength and potential could be him or Chu Luo. Many thoughts flashed across w.a.n.g Wei"s mind as he pondered whether to confront Ye Tuizhi or just hide; he did not want to be Heavenly Dao"s p.a.w.n.

As for his reputation of running away from a battle, he did not care about such a thing. After all, the trial"s rules only implied it was forbidden to run away; there were no rules that expressly prohibited such an act.

/*
Entry 1:
Computed, not measured: a geometry-optimized Dy7BBr12 structure at the PBE level of DFT.

Geometry as POSCAR:
```
Dy7BBr12
1.0
7.2815 4.2040 3.2637
-7.2815 4.2040 3.2637
0.0000 -8.4080 3.2637
Dy B Br
7 1 12
direct
0.0000 0.0000 0.0000 Dy
0.1918 0.4672 0.3955 Dy
0.3955 0.1918 0.4672 Dy
0.4672 0.3955 0.1918 Dy
0.5328 0.6045 0.8082 Dy
0.6045 0.8082 0.5328 Dy
0.8082 0.5328 0.6045 Dy
0.5000 0.5000 0.5000 B
0.0299 0.1108 0.3439 Br
0.1108 0.3439 0.0299 Br
0.1872 0.5778 0.7266 Br
0.2734 0.8128 0.4222 Br
0.3439 0.0299 0.1108 Br
0.4222 0.2734 0.8128 Br
0.5778 0.7266 0.1872 Br
0.6561 0.9701 0.8892 Br
0.7266 0.1872 0.5778 Br
0.8128 0.4222 0.2734 Br
0.8892 0.6561 0.9701 Br
0.9701 0.8892 0.6561 Br
```

## Properties
Space-group type   R-3
ΔE_f (raw)   -152 kJ/mol of atoms

Entry 2:
Computed, not measured: a geometry-optimized Sc5Pt4Au structure at the PBE level of DFT.

Geometry as POSCAR:
```
Sc5Pt4Au
1.0
3.2817 0.0000 0.0000
0.0000 3.2817 0.0000
0.0000 0.0000 16.9911
Sc Pt Au
5 4 1
direct
0.0000 0.0000 0.0000 Sc
0.0000 0.0000 0.1976 Sc
0.0000 0.0000 0.3948 Sc
0.0000 0.0000 0.6052 Sc
0.0000 0.0000 0.8024 Sc
0.5000 0.5000 0.0991 Pt
0.5000 0.5000 0.2964 Pt
0.5000 0.5000 0.7036 Pt
0.5000 0.5000 0.9009 Pt
0.5000 0.5000 0.5000 Au
```

## Properties
Space-group type   P4/mmm
Energy relative to the elements   -1152.0 meV per atom


Record 1
# KWS2N

A PBEsol-optimized structure of KWS2N (SCAN, Alexandria via LeMat-Bulk).

a = 4.8093 Å, b = 4.8093 Å, c = 3.8855 Å
α = 90.00°, β = 90.00°, γ = 90.00°
With the nearest neighbours (Å) after each atom.
Space group P4/mmm (No. 123)
Inequivalent atoms, fractional coordinates:
K1 0.0000 0.0000 0.0000 (multiplicity 1)  8 S 3.09, 4 N 3.40
W1 0.5000 0.5000 0.5000 (multiplicity 1)  2 N 1.94
S1 0.0000 0.5000 0.5000 (multiplicity 2)  2 W 2.40
N1 0.5000 0.5000 0.0000 (multiplicity 1)  2 W 1.94

* final energy: -0.8011 Ha/atom
* formation energy (no corrections): -487 meV per atom


Record 2
# KSc2N

A PBEsol-optimized structure of KSc2N (SCAN, Alexandria via LeMat-Bulk).

a = 3.2585 Å, b = 3.2585 Å, c = 28.3975 Å
α = 90.00°, β = 90.00°, γ = 120.00°
With the nearest neighbours (Å) after each atom.
Space group R-3m (No. 166, hexagonal axes)
Inequivalent atoms, fractional coordinates:
K1 0.0000 0.0000 0.0000 (multiplicity 3)  6 K 3.26, 2 Sc 3.55
Sc1 0.0000 0.0000 0.1251 (multiplicity 6)  3 N 2.22
N1 0.0000 0.0000 0.5000 (multiplicity 3)  6 Sc 2.22

* final energy: -0.4518 Ha/atom
* formation energy (no corrections): -770 meV per atom


Record 3
# KSc2TlN

A PBEsol-optimized structure of KSc2TlN (SCAN, Alexandria via LeMat-Bulk).

a = 5.3696 Å, b = 5.3696 Å, c = 6.3918 Å
α = 90.00°, β = 90.00°, γ = 90.00°
With the nearest neighbours (Å) after each atom.
Space group P4/mmm (No. 123)
Inequivalent atoms, fractional coordinates:
K1 0.0000 0.0000 0.0000 (multiplicity 1)  2 Tl 3.20
Sc1 0.0000 0.5000 0.5000 (multiplicity 2)  2 Tl 2.68
Tl1 0.0000 0.0000 0.5000 (multiplicity 1)  4 Sc 2.68
*/

While these two t.i.tans were about to clash, the situation on Xu s.h.i.+"s side suddenly changed. Someone else appeared before her, most likely intending to challenge her too.

"s.h.i.+ Qian, don"t you feel any shame targeting me after depleting my stamina?" Xu s.h.i.+ said.

"You should understand that this trial"s rules are the same as the Heaven Will Battle: anything goes. Plus, are you exhausted?"

"Where is your pride as an Immortal Child?"

"Pride? Can I eat it? Can it make me stronger?"

Xu s.h.i.+ squinted her eyes, looking at this so openly shameless woman. Many thoughts flashed across her mind as she a.n.a.lyzed the situation. Then, without hesitation, she took her token and threw it to s.h.i.+ Qian, an act that surprised her.

This was a calculated move on Xu s.h.i.+"s part. The sixth-seeded place was unique as too many vied for this position. Although she had confidence in herself, she did not want to reveal too much of her strength before she saw how the other parts of the compet.i.tion took place.

Of course, Xu s.h.i.+ would not give up this trial: the Deceiving Heaven Longevity Art was too valuable for her. She did not want this technique to contribute to another Insurgent Technique in the Academy.

Her true goal was to use this technique to deceive Heaven that her husband had pa.s.sed the Outlaw Trial and revived him using this method. If not, at least deceive Heavens that he failed his trial but survived.

Xu s.h.i.+ did not know whether this technique could accomplish something like this. However, this was her first chance at reviving him, so she wanted to try no matter what.

So, she gave s.h.i.+ Qian one last look before returning to her mansion and activating the arrays. No matter what, she would retake the token, possibly one of an even higher place.

Xu s.h.i.+"s actions surprised s.h.i.+ Qian along with many people. However, after a brief a.n.a.lysis, many people realized this was a genius move. At this point in the trial, all the seeded tokens are nothing but hot potatoes.

Other compet.i.tors can attack seeded players, but even they can only defend their position. So, as of now, they have a weaker hand.

s.h.i.+ Qian looked at the token in her hand, her eyes s.h.i.+ning brightly. Like Xu s.h.i.+, she did not want the final scripture because of its implications for her factions or family. She wanted to see if she could deceive Heavens that she was a Dao Child that could control their Dao Source Seed or even an Emperor Child.

Typically, such heaven defying method should not be possible. The enormous gap between mortals and immortals would make it impossible for a mortal–no matter how talented–to deceive Heavens that he was an Immortal Child or another blessed one. True Heavenly Dao has always been very strict regarding things such as this.

However, as one of the Three Blessed Beings, she believed she had a chance at succeeding. And once she does, she is guaranteed to prove the Dao and become a Great Emperor.

After thinking about all of these, s.h.i.+ Qian looked at her surrounding, waiting to see if anyone would challenge her. However, no one did so as they focused on the confrontation between w.a.n.g Wei and Ye Tuizhi.

In this brief distraction, w.a.n.g Wei had already made a decision regarding this battle. He received a hint that the quickest way to gather the resources needed for this final incarnation was through this Young Master Ye. So, he could not resist the temptation.

Nevertheless, he also needed to be cautious.

He looked at the killing intent emanating from Ye Tuizhi, and w.a.n.g Wei cracked his neck. It"s been a while since he let loose, and he had the chance now–especially since the trial"s s.p.a.ce was strengthened to withstand all their powers.

Otherwise, Xu s.h.i.+"s previous battle would have created devastating destruction to the surrounding.

"I genuinely hate it when I see confident humans like you. Thinking how powerful most of your kind is in other worlds makes me sick."

w.a.n.g Wei calmly looked at him. Typically, he would try to understand his opponent"s mindset, history, or background. But, this time, he did not care.

"I don"t like how you look at me," said w.a.n.g Wei. "So, let"s begin with your eyes."

Before Ye Tuizhi could react, w.a.n.g Wei appeared in front of him with speed beyond his reaction and time. Then, he ripped his eyeb.a.l.l.s from their sockets.

Young Master screamed out loud as he felt pain unlike he had ever experienced in his thousand years of life. How could he resist? After all, w.a.n.g Wei had not used his Pain Innate Talent for a long time despite continuing to train this ability, so he can magnify the pain of all his attacks by factors of millions, if not more.

As w.a.n.g Wei watched the eyeb.a.l.l.s regenerate, he grabbed Ye Tuizhi by the head and flew to the sky like he was holding a helpless chicken. In his flying paths, hundred of blue stars appeared.

w.a.n.g Wei used the Star Essence in his Acupoints and mixed them with the Chaos Flame inside his Heart to create these Chaos Stars. As he ran Ye Tuizhi through the first one, the tiger demon screamed as the Chaos Flame burned every atom of his flesh, not even sparing his soul.

But it was not the end. w.a.n.g Wei held him with a firm grip, preventing him from moving an inch before running him through close to a hundred stars.

"Enough!" roared Ye Tuizhi, creating a shockwave that pushed w.a.n.g Wei away. At the same time, a Yin Breath emanated from his body as the blue star became encased in black ice.

Ye Tuizhi looked at his opponent, fury oozing from every pore in his body; the aura he released slightly bent the s.p.a.ce around him. At this point, he only had half of his body left while the other half had already turned into ashes.

Young Master Ye opened his mouth to instantly swallowed five of the Chaos Stars before w.a.n.g Wei placed them away. Then, in an instant, his body regenerated.

[G.o.d of Death"s Judgement]

A phantom of an enormous man with red skin, a long beard, and wearing a traditional black robe and a judge"s cap with the two characters of "king" and "death." The phantom took out a book and a brush, looked deeply at w.a.n.g Wei before flipping to a page, and wrote his name.

"A Bloodline Divine Ability?" thought w.a.n.g Wei as he sensed this technique came from Ye Tuizhi"s body instead of something cast or used through Law Comprehension.

(What comes next are crystal structures, not part of the page)
# 1
Material: Rb2NaGeO
Method: DFT, GGA-PBE
State: relaxed

As for the volume: 250 Å³ per cell. The size of the total moment comes out at 0.42 μB per atom. For the theoretical density, the calculation gives 1.9 g cm⁻³. The energy relative to the elements, uncorrected is 1.87 eV/f.u.

The space group is P4/mmm (No. 123) and the conventional cell measures 6.7215, 6.7215 and 5.5349 Å, with angles of 90.00, 90.00 and 90.00 degrees. Symmetry generates all atoms from Rb at (0.0000, 0.5000, 0.0000), Na at (0.0000, 0.0000, 0.5000), Ge at (0.0000, 0.0000, 0.0000) and O at (0.5000, 0.5000, 0.5000).

=====

# 2
Material: Be2Sn2Bi
Method: DFT, GGA-PBE
State: relaxed

As for the relative energy among the computed polymorphs: 0.000 eV per atom. As for the volume: 213 Å³ per cell. The size of the total moment comes out at 0.00 μB per atom. For the theoretical density, the calculation gives 7.2 g cm⁻³. The value obtained for the formation enthalpy at 0 K is 355 meV per atom.

The space group is I4/mmm (No. 139) and the conventional cell measures 3.2029, 3.2029 and 20.7967 Å, with angles of 90.00, 90.00 and 90.00 degrees. Symmetry generates all atoms from Be at (0.0000, 0.5000, 0.2500), Sn at (0.0000, 0.0000, 0.1430) and Bi at (0.0000, 0.0000, 0.5000).

=====

# 3
Material: Sc2PI
Method: DFT, GGA-PBE
State: relaxed

As for the volume: 335 Å³ per cell. The size of the total moment comes out at 0.35 μB per atom. For the theoretical density, the calculation gives 4.9 g cm⁻³. The energy relative to the elements, uncorrected is -2.56 eV/f.u.

The space group is Fm-3m (No. 225) and the conventional cell measures 6.9477, 6.9477 and 6.9477 Å, with angles of 90.00, 90.00 and 90.00 degrees. Symmetry generates all atoms from Sc at (0.2500, 0.2500, 0.2500), P at (0.0000, 0.0000, 0.0000) and I at (0.0000, 0.0000, 0.5000).

A white light descended from the sky and enveloped w.a.n.g Wei. However, to everyone"s surprise, nothing else happened.

"Trying to judge my sins based on Karma? Shouldn"t you know better after what happened during the dinner?" said w.a.n.g Wei as he shook his head. He waved his hand to manifest an enormous hand that ripped the book and brush from this phantom"s hand.

Then, the hand wrote a name in the book. Ye Tuizhi"s face became ugly after seeing this and quickly deactivated his bloodline ability. Unfortunately, it was slightly too late, so he suffered backlash by vomiting a mouthful of blood, and his complexion became paler.

w.a.n.g Wei once again appeared before him and kicked him straight in his face, sending him cras.h.i.+ng to the ground.

"I must say, you truly have one of these faces that people simply want to stomp on."

Everything became eerily quiet for a moment before loud waves of laughter echoed throughout the city. The people watching–especially the humans–could not help laughing after hearing this.

None of them liked how these demons from the Demon Supremacy World treated humans, and they were weary of their ideologies of suppressing and eradicating humans.

So, it brought them great joy to see Ye Tuizhi mistreated like this.

"Screw all of you," roared Young Master Ye as his overwhelming hatred suppressed the unsurmountable pain he currently felt.

An ugly creature suddenly appeared behind him. It was only a head with red eyes and wrinkles resembling scales. The creature then opened its mouth wider than a python trying to swallow an elephant, displaying all its fangs: there were thousands of them, making people wonder if they all fit inside.

"Taotie," was the name that appeared on everybody"s mind.